File
~~~
Entry A
The following is a DFT calculation (the ωB97M-V functional and the def2-TZVPD basis) of a 2-piece molecular cluster, C2H5NO3 overall.

Element x y z (Å)
C: -0.444 1.253 0.018
C: -0.284 -1.046 0.309
N: 0.379 0.243 0.250
O: -1.574 1.203 0.353
O: -1.167 -1.380 -0.710
O: 2.123 0.140 -0.463
H: 0.083 2.033 -0.410
H: 0.411 -1.897 0.418
H: -0.705 -0.920 1.323
H: -1.469 -0.475 -1.001
H: 2.647 0.846 -0.088

Computed properties:
LUMO level = -1.54 eV
2S+1 = 1
HOMO level = -10.594 eV
Gap between HOMO and LUMO = 9.058 eV

Mulliken atomic charge list, values in e, 4 entries:
1. C 0.0359
2. C -0.2348
3. N -0.0457
4. O -0.5063



Entry B
The following is a DFT calculation (the ωB97M-V functional and the def2-TZVPD basis) of one molecule with the formula C2H5NO3.

Element x y z (Å)
N: -2.015 0.237 -0.056
C: -0.739 0.709 -0.205
O: -0.551 1.870 -0.551
C: 0.362 -0.315 0.056
O: 1.616 0.313 0.279
O: 2.584 -0.769 0.404
H: -2.764 0.909 -0.166
H: -2.226 -0.646 0.388
H: 0.100 -0.908 0.939
H: 0.428 -0.968 -0.820
H: 3.204 -0.432 -0.269

Computed properties:
LUMO level = 0.76 eV
2S+1 = 1
HOMO level = -10.134 eV
Gap between HOMO and LUMO = 10.893 eV
SMILES = NC(=O)COO

Mulliken atomic charge list, values in e, 4 entries:
1. N -0.3829
2. C 0.5213
3. O -0.5943
4. C -0.3175



The least stable of them is entry A.



Entry A
The following is a DFT calculation (the ωB97M-V functional and the def2-TZVPD basis) of one molecule with the formula C2H5NO3.

Element x y z (Å)
O: -0.154 -1.352 0.136
C: -0.118 -0.106 0.174
C: 1.189 0.592 0.027
O: 2.279 -0.472 -0.202
N: -1.371 0.451 0.108
O: -2.497 -0.347 -0.094
H: 1.084 1.340 -0.787
H: 1.435 1.132 1.102
H: 1.709 -1.349 0.361
H: -1.541 1.340 -0.277
H: -2.014 -1.229 -0.548

Computed properties:
LUMO level = 0.66 eV
2S+1 = 1
HOMO level = -9.990 eV
Gap between HOMO and LUMO = 10.649 eV
SMILES = O=C(CO)NO

Mulliken atomic charge list, values in e, 4 entries:
1. O -0.7442
2. C 0.6591
3. C -0.3433
4. O -0.5530



Entry B
The following is a DFT calculation (the ωB97M-V functional and the def2-TZVPD basis) of a 2-piece molecular cluster, C2H5NO3 overall.

Element x y z (Å)
C: 1.485 -0.311 0.291
N: -0.459 -0.088 -0.965
C: -0.979 0.493 0.083
O: -2.242 1.017 0.002
O: 1.383 -1.612 0.312
O: -0.315 0.687 1.138
H: -2.418 1.447 0.850
H: 1.022 -1.914 -0.539
H: -1.023 -0.029 -1.805
H: 1.787 0.200 -0.610
H: 1.761 0.110 1.245

Computed properties:
LUMO level = -0.16 eV
2S+1 = 1
HOMO level = -8.934 eV
Gap between HOMO and LUMO = 8.775 eV

Mulliken atomic charge list, values in e, 4 entries:
1. C -0.0092
2. N -0.7098
3. C 0.8034
4. O -0.4833



The least stable of them is entry A.



Entry A
The following is a DFT calculation (the ωB97M-V functional and the def2-TZVPD basis) of a 2-piece molecular cluster, C4H9O3 overall.

Element x y z (Å)
C: -2.009 -0.758 -1.229
C: -2.450 -1.713 -2.391
O: -1.103 -1.369 -0.334
H: -1.308 0.125 -1.484
H: -3.110 -0.522 -0.853
H: -3.279 -1.324 -2.993
H: -1.456 -2.023 0.233
H: -2.846 -2.593 -2.008
H: -1.685 -2.041 -3.086
C: 0.995 0.359 2.067
C: 1.665 1.184 0.971
O: 0.918 1.961 0.406
O: 2.890 1.119 0.774
H: 1.596 -0.601 2.030
H: -0.042 0.116 1.912
H: 1.285 0.752 2.965

Computed properties:
LUMO level = 3.23 eV
2S+1 = 1
HOMO level = -3.277 eV
~~~
Wanted
Find "-8.934 eV" and "2.890 1.119" in the block further above, and reproduce these two lines and those between.
Written answer
HOMO level = -8.934 eV
Gap between HOMO and LUMO = 8.775 eV

Mulliken atomic charge list, values in e, 4 entries:
1. C -0.0092
2. N -0.7098
3. C 0.8034
4. O -0.4833



The least stable of them is entry A.



Entry A
The following is a DFT calculation (the ωB97M-V functional and the def2-TZVPD basis) of a 2-piece molecular cluster, C4H9O3 overall.

Element x y z (Å)
C: -2.009 -0.758 -1.229
C: -2.450 -1.713 -2.391
O: -1.103 -1.369 -0.334
H: -1.308 0.125 -1.484
H: -3.110 -0.522 -0.853
H: -3.279 -1.324 -2.993
H: -1.456 -2.023 0.233
H: -2.846 -2.593 -2.008
H: -1.685 -2.041 -3.086
C: 0.995 0.359 2.067
C: 1.665 1.184 0.971
O: 0.918 1.961 0.406
O: 2.890 1.119 0.774